Source: Materials of the international scientific conference EPE-PEMC 2004 Riga, Latvia (11th International Power Electronics and Motion Control Conference).
What comes next are materials data, not part of the page =
'''
A plane-wave DFT calculation with PBE was carried out for CsSmHgTe3 after structural relaxation.

```
CsSmHgTe3
1.0
10.2964 -2.3000 0.0000
10.2964 2.3000 0.0000
-1.8364 0.0000 9.9417
Cs Sm Hg Te
2 2 2 6
direct
0.1461 0.1461 0.0643
0.8539 0.8539 0.9357
0.1705 0.1705 0.5662
0.8295 0.8295 0.4338
0.4754 0.4754 0.2804
0.5246 0.5246 0.7196
0.0000 0.0000 0.5000
0.3236 0.3236 0.6390
0.3321 0.3321 0.2236
0.5000 0.5000 0.0000
0.6679 0.6679 0.7764
0.6764 0.6764 0.3610
```

## Properties
Total DFT energy (no corrections)   -3.43 eV per atom
Energy above the most stable polymorph in this dataset   134 meV per atom
Density   6113 kg/m³
Symmetry   No. 12
'''
So much for the materials data =
Abstract - The contribution presents the method, one of several possible ones, to be applied in the torque load observers design. The method employs the quadratic discrete-time quality factors theory of linear stationary discrete-time systems.
In many methods for optimal control of electrical drive, like: the minimum-time control, optimal stabilization, position control, the load torque must be determined in order to define the control vector. This problem can be solved by direct measurement methods or by the use of a load torque observer. The first approach requires the use of 8 tensometers located on the motor shaft, whose purpose is determination of the shaft torsion value. Thus, knowing the shaft diameter and the material it is made of, the load torque can be computed. This method is much more precise in comparison with observer application, but it needs high precision in tensometers mounting and the measuring system is particularly sensitive to any mechanical damages. For that reason the method of direct load torque measuring is not employed for industrial solutions.
The estimation of the load torque by means of the observer requires measuring of typical values only, like: the speed and torque generated by a motor. Since these quantities are also measured in a typical cascade control system, the problem solving is allocated to the computer system.
A. Discrete - time full order observer
The following system of equations for dynamic discrete-time control system is taken into consideration:
Additionally we assume, that the model of the process is non ideal [x^[k] = x(k)] and due to difficulties with measurements of all vector state variables we use the output vector for constructing the error vector described as [1]:
e(k) = y(k) - Cx^(k) = C(x(k) - x^(k)) (2)
In result we obtain the equation of the discrete-time full order observer
x^(k + 1) = Ax^(k) + Bu(k) + LC(x(k) - x^(k)) (3)
where L is gain matrix of error estimation. Diagram of this observer is shown on Fig.l.
Now the equation of discrete-time error vector is:
e(k + 1) = Ae(k) - LCe(k) = (A-LC)e(k) (4)
and its solution is
e(k) = (A-LC)ke(0). (5)
In order to implement the observer algorithm into a computer system it is convenient to convert of the observer equation (3)
x^(k +1) = (A- LC)x^(k) + Bu(k) +Ly(k). (6)
New diagram of observer is shown on Fig.2
B. Mathematic models of electrical drives
We take into consideration well known models of electrical drives. A DC drive supplied by a controlled rectifier is described by the following system of equations: [2],[3],[4]:
I '(t) = RI(t) + φeNω(t) + KpU(t) (7a)
Jω '(t) = Me(t) - Mm(t) (7b)
Me(t) = φeNI(t) (7c)
I, ω - armature current, angular speed,
Mm - load torque,
Kp - amplifier gain,
φeN - nominal exciting flux,
J - moment of inertia,
Tm, T - starting and electromagnetic time constant,
R - generalized resistance (the sum of all resistances in the armature circuit),
L - total inductance (the sum of all inductances in the armature circuit).
The mechanical part of a drive can be described by following system of state equations:
Discrete form of the system (8) is following (Ts is sampling time):
Ñ. LQ problem solution for the load torque observer
The LQ problem was designed for synthesis a control systems. Its practical application in a observation problems is possible only after applying Duality Theory [5],[6]. Then the discrete-time dual system is
where (see Eq.(1)).
For some reasons the continuous-time quality factor cannot be applied to the discrete-time load torque observer. Therefore we assume a discrete-time quality factor in the form [7],[8],[9]:
After solving the discrete Algebraic Riccati Equation (ARE) [10],[11] we obtain matrix K. In load torque observer problem Ê is a horizontal vector, so in the basic problem observer matrix is
Then we obtain the system of equations for the load torque observer in the form:
where ω^ is estimation of angular speed (auxiliary quantity), M^m is estimation of load torque.
Diagram of the discrete-time torque load observer for dc drive is shown in Fig.3. Matrixes QT = Q >= 0 i RT = R > 0 of index
(11) are in form:
where q1 > 0, q2 > 0, r > 0. If q2 = 0 then pair (Q, A) is not detectable and LQ problem is not possible to solution.
Presently, only several selected results of the simulation tests are presented. These tests were carried out using MATLAB-SlMULINK software. Typical cascade control system of a dc drive with the P-type speed controller and Pi-type current controller was tested. Two different pairs of balance coefficients of the quality factor were assumed (q1 = 1, q2 = 100 and q1 = 1, q2 = 1000). Sampling time was Ts = 0.001.
The waveforms of a current, speed and estimated load torque start and steady state are presented in Figures 4 and 5. Step change in the load torque appears at time t = 1 [s].
The waveforms of the same quantities during the drive start under active load torque are shown in Fig.6.
The contribution presents the method, one of several possible ones, to be applied in the load torque observers design. This method is based on complying with quadratic discrete - time quality factors and theory of linear stationary discrete - time systems. The method employs the quadratic discrete-time quality factors theory of linear stationary discrete-time systems.
DC drive data using in the simulations:
PN = 18 [kW], UN = 440 [V], IN = 47 [A],
nN = 1800 [rpm], ωN = 188 [rad/s], ω0 = 200,3 [rad/s],
R = 1,8 [Ω], L = 99 [mH], T = L/R = 55 [ms],
φeN = 2,197 [Vs/rad], λN = 2 [Imax/IN], J = 0,69 [kgm2],
Kp = 75 [V/V], p = 50IN [A/s].